down the rabbit hole


by Alboba

## The article is interrupted by crystal structures
Entry 1:
The following is a DFT calculation (GGA-PBE) of an optimized crystal structure of La3TbNd4.

abc: 3.570 12.006 13.404
angles: 90.00 90.00 90.00
Space group Immm (No. 71)
One atom of each set of equivalent atoms:
La: 0.000 0.000 0.000 x2
La: 0.000 0.500 0.240 x4
Tb: 0.000 0.000 0.500 x2
Nd: 0.000 0.247 0.367 x8

Results
N(E_F) = 1.58 states/eV/atom
ΔE_f = 0.8 eV/f.u.
relative energy among the computed polymorphs = 106 meV/atom


Entry 2:
The following is a DFT calculation (GGA-PBE) of an optimized crystal structure of LaTb4Nd2.

abc: 3.6254 3.6254 61.7429
angles: 90.00 90.00 120.00
Space group R-3m (No. 166, hexagonal axes)
One atom of each set of equivalent atoms:
La: 0.0000 0.0000 0.0000 x3
Tb: 0.0000 0.0000 0.1434 x6
Tb: 0.0000 0.0000 0.2852 x6
Nd: 0.0000 0.0000 0.4289 x6

Results
N(E_F) = 1.16 states/eV/atom
ΔE_f = 0.1 eV/f.u.
relative energy among the computed polymorphs = 0 meV/atom


Entry 3:
The following is a DFT calculation (GGA-PBE) of an optimized crystal structure of La6TbNd3.

abc: 10.994 19.656 6.646
angles: 90.00 90.00 90.00
Space group Cmc2_1 (No. 36)
One atom of each set of equivalent atoms:
La: 0.000 0.031 0.000 x4
La: 0.000 0.282 0.807 x4
La: 0.173 0.460 0.703 x8
La: 0.223 0.293 0.518 x8
Tb: 0.000 0.187 0.253 x4
Nd: 0.000 0.384 0.228 x4
Nd: 0.176 0.119 0.610 x8

Results
N(E_F) = 1.38 states/eV/atom
ΔE_f = 1.1 eV/f.u.
relative energy among the computed polymorphs = 0 meV/atom


- Which formula does entry 2 have?
  LaTb4Nd2


Version 1
Density functional theory data (SCAN) for AlMoCl2 at its PBEsol-relaxed geometry.

Unit cell a=3.126 b=5.008 c=5.183 alpha=117.82 beta=105.97 gamma=93.14
Site moments in Bohr magnetons follow the coordinates.
Positions (direct):
Mo1 0.500 0.500 0.000  2.04
Al1 0.000 0.000 0.000  -0.04
Cl1 0.500 0.500 0.500  0.02
Cl2 0.000 0.000 0.500  0.02

**Total magnetization**: 0.547 μB per atom

---

Version 2
Density functional theory data (SCAN) for AlMoCl2 at its PBEsol-relaxed geometry.

Unit cell a=2.962 b=2.962 c=8.288 alpha=90.00 beta=90.00 gamma=90.00
Site moments in Bohr magnetons follow the coordinates.
Positions (direct):
Mo1 0.500 0.500 0.000  0.94
Al1 0.500 0.500 0.500  0.00
Cl1 0.000 0.000 0.821  -0.01
Cl2 0.000 0.000 0.179  -0.01

**Total magnetization**: 0.266 μB per atom

---

Least stable of them? version 2.


“Living across the street from each other is a disaster! It’s impossible to keep track of both flats. I’m unhappy, we should move in together.” “Ok.” So we packed our stuff and I made everything worse by moving in together. It all became a blur of screaming and banging doors. Six months after moving in I saw our neighbors pack their stuff into their car and move out. Worried, they had knocked on our door a few times. In a silent mutual agreement that we couldn’t resolve the situation in conversation, they would bang a broom from the floor below when the fighting escalated. Fights escalated often. At our housewarming party everyone from our semester was invited, drinking beer and playing games I sat at my PC working on assignments. I was programmed to be a working robot with no access to fun functions, and it was destroying me fast. Instead of socializing, which I was in desperate need of, I sat there like an angry Grinch. With a beer in hand and a big smile on his face, the Italian came over, put an arm around me, and through his mustache came drunk wisdom: “ALL WORK AND NO PLAY MAKES JACK A DULL BOY!” But I couldn’t stop. After endless fights, crashing on the bathroom floor where I had started occasionally cutting myself, a genius thought popped into my head that changed everything. What if drugs aren’t bad? Don’t think I got the idea from the delinquent that couldn’t control himself around weed and came home telling stories about how he shoved Ketamine up his asshole with his internet friends. It was quite the independent thought process in that I questioned, Why do I believe drugs are bad? I was also tired of fighting it. After some research, I came to the conclusion that this unmovable fact had been planted in my head by institutions and did not come from a place of my own judgment. I decided to conduct some experiments on myself for my amusement. Curiosity kills the cat. “I need your help.” I texted Marvin. There was no need for friendliness. “I told you I’m not allowed to talk to you because of my girlfriend.” “I don’t want anything from you. Do you know anyone who sells LSD?” “How did you get to this?” “I want to try it. “ It wasn’t like he cared much about my faith anyway. “I have the right guy just for you.” The three of us gathered on an Online Server to talk. I talked to a person I had loosely known before from playing a few League of Legends matches. “Hey Noel, we need some candy.” Noel was surprised it was me since he had heard me rant about how much drugs suck a couple of times, keeping quiet to spare his peace of mind. “Possibly. If you let me trip sit you.” We planned everything out, chose a nice weekend where there was nothing to do. I wanted to do it just for myself. Noel would come over to oversee everything. He came a long way in his car. We met up before to get to know each other better. Watching him waddle down the hallway to my apartment, my worries fell apart. He was short with thick glasses. His ears were folded over at the tips. Overall he resembled a friendly Elf, or Hobbit. We took a long walk, deep into the night. “LSD is a psychedelic. It’s strong, some people don’t like it. You sure you want to do this?” His demeanor was friendly and reassuring. His big green eyes were open and full of welcoming warmth. “What happens in your brain when you take it?” His studies went from giving up on pharmacy to, what he named, Lab Bimbo. His knowledge of the field was in-depth and impressive regardless.

**Attached: data records:**
~~~
## MgScCl (PBE)

Data for a geometry-optimized MgScCl structure.

## Properties
* space-group type: No. 42
* total energy: -3.932 eV/atom
* uncorrected formation energy: -0.674 eV per atom
* magnetization: 0.00 μB/f.u.

abc: 3.542 5.542 14.093
angles: 90.00 90.00 90.00
Fractional positions:
Mg  0.000  0.000  0.000
Mg  0.000  0.500  0.500
Mg  0.500  0.000  0.500
Mg  0.500  0.500  0.000
Sc  0.000  0.000  0.673
Sc  0.000  0.500  0.173
Sc  0.500  0.000  0.173
Sc  0.500  0.500  0.673
Cl  0.000  0.000  0.309
Cl  0.000  0.500  0.809
Cl  0.500  0.000  0.809
Cl  0.500  0.500  0.309
~~~

© Alboba 2023-09-01

Novels & Stories
Dark, Emotional, Funny